Cayetano Martínez de Irujo marries. The bride is Barbara Mirjan, with which Cayetano argues and more than a decade of relationship. We are facing happy news in the biography of Cayetano, who lives there at the top of the 60 years, … After much trajín of uncomfortable confessions, fraternal disagreements and some time in the wild cornices of cheerful existence. From Cayetano Martínez de Irujo we know what it is convinced riderthat forgives little or nothing to the press of Varietés, and that he uses Galán ways of good school, when you get. From Cayetano we also know that he is a genealogy aristocrat, and aristocrat of falling in love with women of a wonderful lamina, from Genoveva Casanova to reach Mar Floresalmost in the past, when I was going to Elle Macpherson of the Spain brand. And discuss me the fiancee. They insist on the biographies that Cayetano was a weakness of the Duchess of Alba, and perhaps that is why he is still very living in the interior mourning crude, since the mother is missing. That has already passed more than ten years, and that is the time, time up, down, that he takes a sustained courtship with Barbara, a serene proceeding girl who will be the Duke’s wife, under all the boats, around the summer.
On some sides of the social, it falls unfriendly Cayetano, but it does not happen to me, because I find that it does not try to hide its antipathy, or antipathies, against what others do, or others. To me that sincerity exercise does not dislike, but quite the opposite, and even brings it to me, under that neat boy who does not have the day, as usual in it, sometimes. In the equestrian it has been, by trade, and even has high competition medals. It is understood that being Duke of Arjona It is difficult to find a job in conditions, but Cayetano has sought jobs, probably not to fall into the greater vice of boredom, which is usually a vice of rich. One day he served as Duke of Wellingtonbut for the cinema, because he signed as a cast Milos formin the movie ‘The Gaya’s Ghosts’, where Javier Bardem and Natalie Portman came out. He has then been as an advisor or promoter of several fashion firms, and worked as president of the Association of Athletes, an adventure from which he went out with mess.
It was a weakness of the Duchess of Alba, and perhaps that is why he still goes with a lot
**What comes next are records of molecules, not part of the page:**
=====
Computed, not measured: a single C7H10 molecule, with ωB97M-V/def2-TZVPD.

## Properties
energy: -7415.6518 eV
HOMO energy: -8.272 eV

ORCA input file:
```
! wB97M-V def2-TZVPD RIJCOSX def2/J DEFGRID3
* xyz 0 1
C 0.96 1.16 -0.05
C 0.52 -0.04 -0.90
C 1.53 -1.22 -0.75
C -0.74 -0.79 -0.62
C -1.12 -0.78 0.84
C -2.05 0.36 0.86
C -2.79 1.31 0.79
H 1.91 1.54 -0.42
H 0.22 1.96 -0.10
H 1.09 0.89 1.00
H 0.53 0.25 -1.96
H 2.49 -0.90 -1.16
H 1.67 -1.47 0.30
H 1.20 -2.11 -1.29
H -0.31 -0.61 1.58
H -1.67 -1.69 1.12
H -3.46 2.14 0.76
*
```

In elementary charge units, the Mulliken charges are: -1.3878, 0.6512, -1.3874, -0.6804, -0.2064, -0.6498, 0.1937, 0.4377, 0.3122, 0.2893, 0.3218, 0.3854, 0.3427, 0.4055, 0.2406, 0.3309, 0.4006
=====
Sometimes, if we look a little far away, we have seen Cayetano sharing half of the photo with a ‘special friend’, which is as the cautious chroniclers call, but aware, those who work for brides, which is like saying to those who are never going to be girlfriends. The fact is that, by Rachas, Cayetano has been making or remakeing his life as a single, because single is the one who lives loose, that condition he found the posture soon. He never made some grace to immortalize him, teleobjective via, while taking his bags to a beautiful brunette.
Here the piece breaks off for quantum chemistry results:
____________
# 1
Here is a 11-piece molecular cluster, C7H32O10 overall at a distorted geometry from the OMol25 dataset. Energies are from wB97M-V/def2-TZVPD.

Each line ends with the Löwdin charge.
Geometry (Å):
O (-1.641220, -2.374544, -1.116780)  -0.085
O (-3.404215, 0.267709, -1.360996)  -0.027
O (-0.976034, 2.361658, -2.775045)  -0.075
O (2.577426, -1.205169, -1.934761)  -0.059
O (2.565207, 3.402002, 0.411012)  -0.096
O (-0.064206, -3.136657, 1.669651)  -0.033
O (-2.317166, 3.199200, 0.010709)  0.022
O (0.328139, -0.982172, -3.160389)  -0.027
O (-2.190514, 0.087820, -3.684348)  -0.084
O (0.892051, -3.316158, -1.438364)  0.056
C (2.990203, 0.245233, 0.907280)  -0.072
C (-1.520736, 1.076423, 3.223165)  -0.185
C (-0.418501, 0.026688, 3.349000)  -0.114
C (1.630420, -1.046734, 2.595274)  -0.251
C (-1.176151, 2.206576, 2.608986)  -0.045
C (2.800818, -0.166758, 2.376243)  -0.265
C (0.463878, -0.212513, 2.370433)  -0.166
H (-0.383344, -0.432962, 4.341245)  0.105
H (3.349702, 1.245793, 1.036497)  0.039
H (-0.081298, 2.298414, 2.367486)  0.066
H (-3.709219, -0.375068, -1.995769)  0.050
H (0.352825, 0.352579, 1.435766)  0.109
H (3.706633, -0.541796, 2.851445)  0.112
H (-0.106867, 2.777686, -2.475321)  0.081
H (1.645518, -1.417203, 3.664151)  0.133
H (1.156857, -4.105473, -1.678745)  -0.009
H (0.019915, -1.531854, -3.897119)  0.093
H (1.926183, -0.490297, -2.166821)  0.066
H (1.480921, -2.741421, -1.814083)  -0.034
H (2.732107, 0.751887, 2.908162)  0.091
H (-3.177016, 3.036375, 0.406660)  0.065
H (1.985316, 0.320274, 0.554582)  0.048
H (-2.109561, 4.022202, 0.083717)  -0.057
H (3.577801, -0.250923, 0.231863)  0.038
H (-1.409934, 0.486232, -3.767768)  -0.095
H (-0.855608, -2.831870, 2.019547)  0.001
H (2.742800, 2.813250, 1.174917)  0.010
H (-3.126484, -0.394462, -0.741017)  0.033
H (-2.636404, 0.848853, 3.550939)  0.129
H (1.828271, -2.040109, 1.998803)  0.147
H (3.328161, -1.123741, -2.499671)  0.045
H (1.561345, 3.489389, 0.531841)  0.066
H (-2.441767, 0.340238, -2.698227)  0.030
H (-1.587766, 2.397202, -2.027194)  0.005
H (-0.067865, -2.748618, 0.775271)  0.015
H (-0.081692, -1.135786, -2.345538)  -0.013
H (-1.665550, -2.780332, -0.182728)  0.071
H (-0.729901, -2.426979, -1.476462)  -0.011
H (-1.999420, 2.985519, 2.285780)  0.079

Cartesian forces, eV/Å:
-0.429 -0.153 1.873
-0.498 0.087 0.285
1.950 0.906 0.450
-1.059 0.676 0.895
-2.459 -0.227 1.188
1.527 -0.989 -1.911
-1.856 -8.188 -1.144
1.588 0.850 -2.408
-5.766 -2.026 2.978
-4.259 3.537 3.267
-1.311 1.559 2.740
-0.673 -1.089 -0.131
-1.550 0.950 0.303
1.714 -3.067 0.863
-1.355 1.291 -0.427
2.308 -0.219 -0.407
-2.016 0.081 0.472
0.303 -0.300 -0.450
0.547 0.412 -0.825
-1.418 0.477 0.024
-0.858 -0.089 -1.047
-0.114 -0.444 0.328
0.239 -0.628 -0.350
-1.972 -0.840 -0.409
-0.236 0.415 -0.997
1.746 -6.469 -1.686
-0.430 0.168 0.926
1.162 -1.120 -0.191
2.801 2.946 -1.462
-0.739 0.940 0.671
0.032 0.123 -0.139
-0.382 0.187 -0.978
1.764 8.141 0.777
1.424 -1.721 -1.216
5.000 2.611 -0.753
-2.282 0.902 1.458
____________
Sometimes, Cayetano has given some health scare, and the doctor has recalled him Enrique Moreno. It is like a second father, for Cayetano, like a father with an operating room included. In Cayetano we have seen the aristocrat who suffers, and tells. It does well. Shut up produces ulcerand other things. Shutting up is not good for health, so in general. And he has decided to practice this prevention. Although suddenly the brothers get angry, or precisely because of that. For some time, almost remote, he knew Baudelaire’s maximum, without having read, perhaps, the poet: “Love is the result of a misunderstanding.” Then no longer. Because Barbara came. The wedding will be Bodón, there at the return of the reggaeton with Sangria of the summer.
## Here the piece breaks off for molecular data
=====
1.
Computed, not measured: 2 unconnected molecules or ions with the total composition C21H30ClF3NO11P3S3, with ωB97M-V with the def2-TZVPD basis set.

The structure (SMILES) is CCSC[C@]1(OC(=O)c2ccccc2)[C@](Cl)(N=C(C)C)S(=O)(=O)O[C@H](PP(=O)(O)O)[C@@]1(S)[PH2]=O.CCOC(=O)C(F)(F)F. The frontier orbital gap comes out at 7.58 eV. The charge is 0. As for the energy: -4678.84992 Eh.

Element x y z (Å)
C (-2.35095, -1.05822, 4.20638)
C (-2.52654, -1.31538, 2.64455)
S (-1.68284, 0.00797, 1.71517)
C (-1.72284, -0.28327, -0.10248)
C (-0.77492, -1.49973, -0.62145)
O (-0.14046, -2.03762, 0.53710)
C (1.20919, -1.84232, 0.74873)
O (2.12115, -2.43212, 0.23812)
C (1.61814, -0.82544, 1.87694)
C (2.22434, 0.46283, 1.63874)
C (2.58309, 1.38817, 2.73128)
C (2.26623, 0.94710, 4.09768)
C (1.63378, -0.33269, 4.39285)
C (1.32730, -1.20883, 3.26206)
C (0.09157, -0.91381, -1.78416)
Cl (1.12882, -2.09792, -2.70485)
N (0.87454, 0.24072, -1.48098)
C (1.95297, 0.42833, -2.18837)
C (1.92049, 1.04717, -3.64169)
C (3.41333, 0.15274, -1.66548)
S (-1.16752, -0.32129, -3.11586)
O (-1.34360, 1.12274, -3.05422)
O (-0.65605, -0.68460, -4.44328)
O (-2.61539, -1.13785, -2.98290)
C (-2.22617, -2.51596, -2.69822)
P (-3.88816, -3.46715, -2.87212)
P (-3.56325, -5.44586, -3.71338)
O (-2.52744, -5.47343, -4.76649)
O (-5.06643, -5.94426, -4.28562)
O (-3.23382, -6.47560, -2.42719)
C (-1.66010, -2.73847, -1.19275)
S (-3.16185, -3.05743, -0.10750)
P (-0.72510, -4.40336, -1.06768)
O (-0.52740, -4.98295, -2.45151)
H (-1.50000, -1.65932, 4.62089)
H (-3.26640, -1.34177, 4.77986)
H (-2.12862, 0.02872, 4.39212)
H (-3.61983, -1.42501, 2.44243)
H (-2.04284, -2.31214, 2.44526)
H (-1.37674, 0.70854, -0.52035)
H (-2.76818, -0.37643, -0.51354)
H (2.43592, 0.82337, 0.61418)
H (3.05370, 2.38314, 2.53647)
H (2.48622, 1.62047, 4.96153)
H (1.35604, -0.68540, 5.41286)
H (0.83118, -2.17820, 3.49065)
H (1.04180, 1.75000, -3.69743)
H (1.85826, 0.26651, -4.43764)
H (2.82766, 1.70749, -3.76486)
H (3.49703, -0.84680, -1.17374)
H (4.11293, 0.13089, -2.55005)
H (3.78724, 0.96944, -0.99511)
H (-1.52391, -2.90583, -3.49273)
H (-4.64736, -2.66178, -3.78147)
H (-5.72655, -5.72036, -3.59527)
H (-3.87420, -6.26723, -1.71496)
H (-2.74458, -3.99450, 0.81488)
H (-1.48396, -5.36290, -0.33142)
H (0.56080, -4.25276, -0.48325)
C (1.39875, 8.32929, 1.62496)
C (0.64143, 7.04284, 1.36665)
O (1.51559, 6.03250, 0.83454)
C (2.25349, 5.36708, 1.72682)
O (2.23567, 5.55741, 2.90903)
C (3.09246, 4.29697, 1.02766)
F (3.68898, 4.75548, -0.08534)
F (2.34550, 3.24399, 0.65391)
F (4.07542, 3.81158, 1.81480)
H (1.91396, 8.65853, 0.72034)
H (0.71856, 9.11665, 1.95192)
H (2.16064, 8.18965, 2.39370)
H (-0.12857, 7.21408, 0.61408)
H (0.13842, 6.68360, 2.26621)

Cartesian forces (eV/Å) of the 6 atoms listed first:
0.4 0.5 -0.3
-0.2 -1.4 1.0
-0.3 0.3 -0.3
-0.4 0.1 -0.4
-1.9 0.1 -0.2
1.2 0.0 -0.7



2.
Computed, not measured: a gas-phase ion, C21H30ClN2O2 (charge +1), with ωB97M-V with the def2-TZVPD basis set.
=====
## Back to the piece
#Ángel #Antonio #Herrera #Cayetano #Duke #fled #boredom